## Wanted
Please restate all of the lines further below unchanged.
## Excerpt
<<<
No. 1
{"formula": "C23H40ClFN5O9", "method": "the ωB97M-V functional and the def2-TZVPD basis", "total_charge": 1, "energy_ha": -2411.22288, "molar_mass_g_mol": 585.05, "e_above_lowest_kcal_mol": 0.0, "elements": ["C", "C", "C", "C", "N", "C", "C", "N", "C", "N", "C", "C", "C", "C", "Cl", "N", "N", "C", "C", "C", "F", "H", "H", "H", "H", "H", "H", "H", "H", "H", "H", "H", "H", "H", "H", "H", "H", "H", "H", "H", "H", "H", "H", "H", "H", "H", "H", "H", "H", "C", "C", "O", "C", "O", "O", "H", "H", "H", "H", "C", "C", "O", "C", "O", "O", "H", "H", "H", "H", "C", "C", "O", "C", "O", "O", "H", "H", "H", "H"], "xyz": [[-0.658, 1.213, 3.272], [-0.896, -0.301, 3.367], [-1.961, -0.865, 2.402], [-1.832, -2.382, 2.147], [-2.143, -0.077, 1.170], [-3.402, 0.685, 1.033], [-4.446, -0.005, 0.163], [-4.582, -1.424, 0.518], [-1.310, 0.000, 0.145], [-1.633, 0.731, -0.961], [-0.653, 0.583, -1.804], [-0.551, 1.203, -3.160], [-1.785, 2.032, -3.560], [-1.465, 3.504, -3.759], [-1.359, 4.363, -2.199], [0.290, -0.203, -1.310], [-0.102, -0.581, -0.035], [0.859, -1.405, 0.680], [2.165, -0.679, 1.019], [3.396, -1.526, 0.808], [2.104, -0.251, 2.351], [0.229, 1.451, 2.683], [-0.500, 1.639, 4.264], [-1.517, 1.735, 2.845], [0.047, -0.839, 3.275], [-1.263, -0.530, 4.372], [-2.913, -0.730, 2.911], [-2.683, -2.912, 2.572], [-1.828, -2.612, 1.081], [-0.932, -2.793, 2.611], [-3.783, 0.850, 2.041], [-3.169, 1.667, 0.616], [-4.153, 0.055, -0.884], [-5.391, 0.542, 0.248], [-4.930, -1.925, -0.293], [-5.296, -1.541, 1.229], [-0.384, 0.396, -3.879], [0.351, 1.822, -3.177], [-2.549, 1.935, -2.788], [-2.215, 1.642, -4.484], [-0.498, 3.642, -4.244], [-2.215, 4.000, -4.373], [1.162, -0.512, -1.709], [0.411, -1.833, 1.567], [1.093, -2.238, 0.008], [2.238, 0.231, 0.414], [4.280, -0.897, 0.715], [3.551, -2.237, 1.622], [3.321, -2.091, -0.123], [-6.277, -4.060, -3.015], [-7.301, -3.508, -3.993], [-7.512, -2.182, -3.486], [-6.435, -1.812, -2.775], [-6.232, -0.716, -2.356], [-5.604, -2.866, -2.583], [-5.559, -4.742, -3.460], [-6.742, -4.529, -2.147], [-6.911, -3.432, -5.008], [-8.243, -4.047, -4.001], [6.698, 1.942, -2.216], [6.023, 1.893, -0.856], [5.065, 0.834, -1.051], [5.487, 0.039, -2.057], [4.969, -0.999, -2.337], [6.534, 0.591, -2.687], [7.755, 2.185, -2.175], [6.193, 2.608, -2.917], [6.698, 1.602, -0.055], [5.507, 2.807, -0.577], [5.547, 1.065, 4.682], [4.607, 1.937, 3.865], [5.507, 2.557, 2.936], [6.610, 1.783, 2.821], [7.465, 1.945, 2.009], [6.598, 0.802, 3.743], [5.108, 0.128, 5.009], [5.970, 1.593, 5.537], [3.879, 1.346, 3.307], [4.097, 2.702, 4.442]]}

No. 2
>>>
## Done
No. 1
{"formula": "C23H40ClFN5O9", "method": "the ωB97M-V functional and the def2-TZVPD basis", "total_charge": 1, "energy_ha": -2411.22288, "molar_mass_g_mol": 585.05, "e_above_lowest_kcal_mol": 0.0, "elements": ["C", "C", "C", "C", "N", "C", "C", "N", "C", "N", "C", "C", "C", "C", "Cl", "N", "N", "C", "C", "C", "F", "H", "H", "H", "H", "H", "H", "H", "H", "H", "H", "H", "H", "H", "H", "H", "H", "H", "H", "H", "H", "H", "H", "H", "H", "H", "H", "H", "H", "C", "C", "O", "C", "O", "O", "H", "H", "H", "H", "C", "C", "O", "C", "O", "O", "H", "H", "H", "H", "C", "C", "O", "C", "O", "O", "H", "H", "H", "H"], "xyz": [[-0.658, 1.213, 3.272], [-0.896, -0.301, 3.367], [-1.961, -0.865, 2.402], [-1.832, -2.382, 2.147], [-2.143, -0.077, 1.170], [-3.402, 0.685, 1.033], [-4.446, -0.005, 0.163], [-4.582, -1.424, 0.518], [-1.310, 0.000, 0.145], [-1.633, 0.731, -0.961], [-0.653, 0.583, -1.804], [-0.551, 1.203, -3.160], [-1.785, 2.032, -3.560], [-1.465, 3.504, -3.759], [-1.359, 4.363, -2.199], [0.290, -0.203, -1.310], [-0.102, -0.581, -0.035], [0.859, -1.405, 0.680], [2.165, -0.679, 1.019], [3.396, -1.526, 0.808], [2.104, -0.251, 2.351], [0.229, 1.451, 2.683], [-0.500, 1.639, 4.264], [-1.517, 1.735, 2.845], [0.047, -0.839, 3.275], [-1.263, -0.530, 4.372], [-2.913, -0.730, 2.911], [-2.683, -2.912, 2.572], [-1.828, -2.612, 1.081], [-0.932, -2.793, 2.611], [-3.783, 0.850, 2.041], [-3.169, 1.667, 0.616], [-4.153, 0.055, -0.884], [-5.391, 0.542, 0.248], [-4.930, -1.925, -0.293], [-5.296, -1.541, 1.229], [-0.384, 0.396, -3.879], [0.351, 1.822, -3.177], [-2.549, 1.935, -2.788], [-2.215, 1.642, -4.484], [-0.498, 3.642, -4.244], [-2.215, 4.000, -4.373], [1.162, -0.512, -1.709], [0.411, -1.833, 1.567], [1.093, -2.238, 0.008], [2.238, 0.231, 0.414], [4.280, -0.897, 0.715], [3.551, -2.237, 1.622], [3.321, -2.091, -0.123], [-6.277, -4.060, -3.015], [-7.301, -3.508, -3.993], [-7.512, -2.182, -3.486], [-6.435, -1.812, -2.775], [-6.232, -0.716, -2.356], [-5.604, -2.866, -2.583], [-5.559, -4.742, -3.460], [-6.742, -4.529, -2.147], [-6.911, -3.432, -5.008], [-8.243, -4.047, -4.001], [6.698, 1.942, -2.216], [6.023, 1.893, -0.856], [5.065, 0.834, -1.051], [5.487, 0.039, -2.057], [4.969, -0.999, -2.337], [6.534, 0.591, -2.687], [7.755, 2.185, -2.175], [6.193, 2.608, -2.917], [6.698, 1.602, -0.055], [5.507, 2.807, -0.577], [5.547, 1.065, 4.682], [4.607, 1.937, 3.865], [5.507, 2.557, 2.936], [6.610, 1.783, 2.821], [7.465, 1.945, 2.009], [6.598, 0.802, 3.743], [5.108, 0.128, 5.009], [5.970, 1.593, 5.537], [3.879, 1.346, 3.307], [4.097, 2.702, 4.442]]}

No. 2